Introduction to Dennis Groves

Dennis Groves here.....

Hello, my name is Dennis Groves and I am a Program Manager in the CISG (Connected Information Security Group) at Microsoft.

Before joining Microsoft I was a Security Consultant with IBM Security and Privacy Services. At IBM my roles was an IT Security Architect and Consultant in assessing and developing secure solutions addressing the security and privacy concerns of clients, both internal and external to IBM. I further specialized in Service Oriented Architectures (SOA); Identity Management and integrating security into infrastructure and application design. While there I contributed to an IBM Redbook on Security and Service Oriented Architectures.

I discovered web application security back in 1999 when I was hired by a company known as Perfecto Technologies, at the time we were working on the worlds first web application firewall; AppShield (obviously we couldn't sell them...) where I had the fortunate opportunity to go overseas for the first time and live in Israel, (I have also lived in Mexico, Thailand, the USA and I currently reside in England) and work on their second product "Appscan" that was eventually sold to IBM for a small fortune. After leaving Perfecto/Sanctum; I started OWASP with Mark Curphey. One of my early contributions to OWASP include the "OWASP Guide" downloaded over 2 million times; now a reference document in the PCI DSS standard, and the de-facto standard for securing web applications.

I have played a number of roles oven the years including:

  • Ethical Hacker
  • Web Application Security Consultant
  • IT Security Consultant
  • System Administrator
  • Network Administrator
  • Software Engineer

I was destined to be a Security professional, ever since I was young boy my father was constantly telling me if I would spend half my time doing what I was supposed to instead of gaming the system I could go twice as far.


I am an autodidact with a ravenous appetite for knowledge and books. My love of books is matched only by my love of exercise; but I will save that for another post. I just completed reading "Little Brother" last night, it is a modern retelling of George Orwell's "1984" set in San Francisco, and although its target demographic is adolescence; and thus an easy read; it is a rare book about our occupation and the main character is definitely a security thinker. Some of the other books I have recently read are Brain RulesLiving the 80/20 way, &  Do It Tomorrow. I am planning on completing Keeping Found Things Found next and then reading Making things happen, mastering project management. I am also keen to read Motion Mountain.

- - -
1.
Sb2S3O12: calculated powder XRD pattern (Cu Kα, 1.54184 Å), based on a structure optimized by DFT (PBE).
Kinematic intensities with the Lorentz-polarization factor, no thermal factor.

```
data_Sb2S3O12
_chemical_formula_sum 'Sb4 S6 O24'
_symmetry_space_group_name_H-M 'P 1'
_symmetry_Int_Tables_number 1
_cell_length_a 9.308
_cell_length_b 9.308
_cell_length_c 9.308
_cell_angle_alpha 59.97
_cell_angle_beta 59.97
_cell_angle_gamma 59.97
loop_
_symmetry_equiv_pos_as_xyz
'x,y,z'
loop_
_atom_site_label
_atom_site_type_symbol
_atom_site_fract_x
_atom_site_fract_y
_atom_site_fract_z
Sb1 Sb 0.139 0.139 0.139
Sb2 Sb 0.361 0.361 0.361
Sb3 Sb 0.639 0.639 0.639
Sb4 Sb 0.861 0.861 0.861
S1 S 0.045 0.750 0.455
S2 S 0.250 0.545 0.955
S3 S 0.455 0.045 0.750
S4 S 0.545 0.955 0.250
S5 S 0.750 0.455 0.045
S6 S 0.955 0.250 0.545
O1 O 0.008 0.809 0.595
O2 O 0.060 0.898 0.282
O3 O 0.095 0.309 0.508
O4 O 0.102 0.718 0.940
O5 O 0.191 0.405 0.992
O6 O 0.218 0.602 0.440
O7 O 0.282 0.060 0.898
O8 O 0.309 0.508 0.095
O9 O 0.398 0.560 0.782
O10 O 0.405 0.992 0.191
O11 O 0.440 0.218 0.602
O12 O 0.492 0.905 0.691
O13 O 0.508 0.095 0.309
O14 O 0.560 0.782 0.398
O15 O 0.595 0.008 0.809
O16 O 0.602 0.440 0.218
O17 O 0.691 0.492 0.905
O18 O 0.718 0.940 0.102
O19 O 0.782 0.398 0.560
O20 O 0.809 0.595 0.008
O21 O 0.898 0.282 0.060
O22 O 0.905 0.691 0.492
O23 O 0.940 0.102 0.718
O24 O 0.992 0.191 0.405
```

Principal peaks in the range 15° ≤ 2θ ≤ 90°, in order of rising 2θ:
2θ 19.1, d 4.653, I 1000; 2θ 22.4, d 3.968, I 408; 2θ 27.1, d 3.290, I 348; 2θ 30.4, d 2.943, I 214; 2θ 33.4, d 2.686, I 582; 2θ 43.5, d 2.081, I 293; 2θ 45.7, d 1.984, I 142; 2θ 52.0, d 1.758, I 386; 2θ 57.8, d 1.596, I 128; 2θ 59.6, d 1.551, I 107

2.
Sc2S3O12: calculated powder XRD pattern (Cu Kα, 1.54184 Å), based on a structure optimized by DFT (PBE).
Kinematic intensities with the Lorentz-polarization factor, no thermal factor.

```
data_Sc2S3O12
_chemical_formula_sum 'Sc4 S6 O24'
_symmetry_space_group_name_H-M 'P 1'
_symmetry_Int_Tables_number 1
_cell_length_a 9.174
_cell_length_b 9.174
_cell_length_c 9.174
_cell_angle_alpha 57.69
_cell_angle_beta 57.69
_cell_angle_gamma 57.69
loop_
_symmetry_equiv_pos_as_xyz
'x,y,z'
loop_
_atom_site_label
_atom_site_type_symbol
_atom_site_fract_x
_atom_site_fract_y
_atom_site_fract_z
- - -

However, every once in a while a book comes a long that really stays with you. For me it is the The Medici Effect. The Medici Effect describes exactly how to reproduce the creativity that leads to world-changing insights. Not surprisingly one of the important mechanisms is diversity, we have long known that diversity strengthens species through evolution; this is after the cornerstone of Darwin's Theory. And in fact Dan Geer wrote a great article looking at what evolution tells us about managing risk. Diversity is what allows you to take fresh perspective to difficult problems and solve them in unexpected was. This is but one of the eight keys to locating the intersection where creativity happens.

Another book I read recently about Marketing is "The Pirate's Dilemma". This is a fantastic book about what happens when you don't give customers what they want and how to spot market opportunities that your customers are dying for. A marketing opportunity exists when customers start creating solutions for themselves.


"Secure web servers are the equivalent of heavy armored cars. The problem is, they are being used to transfer rolls of coins and checks written in crayon by people on park benches to merchants doing business in cardboard boxes from beneath highway bridges. Further, the roads are subject to random detours, anyone with a screwdriver can control the traffic lights, and there are no police." -- Gene Spafford

Back in 2002 I spoke at BlackHat about Cross Site Scripting (XSS). So interestingly enough, you could say my career is coming full circle. Here at Microsoft my role is program manager for the Anti-XSS library. This is a server side library that filters http data according to a whitelist sanitizing the output; so that cross site scripting attacks are not possible. This library was written around the time of Samy. Samy was a wake up call; like the Morris Worm of the two decades prior. Two years later in 1988 the first packet filters were arrived and the 'firewall' industry was born. Interestingly enough I used to write packet filters back then for companies around the Puget Sound. Interestingly the litmus test of security as set forth by Stephen Northcutt; is the recognition of the Morris worm; not a single firewall product; nor network device and even most Humans would be able to recognize or mitigate the risks of this attack today! Indeed, the mechanisms were different, but Samy demonstrated that little has changed in terms of security; in fact Samy marched right on through the firewalls unnoticed as predicted by Northcutt. Ken Thompson; wrote papers about IT security in 1984 - “Reflections on Trusting Trust“; in it he identified the problem of "Data Validation" the cause of both of the above worms and most Dancing Pigs.

Anti-XSS remains the leading solution to solving cross-site scripting in .NET applications. I am excited because I am working alongside some of the most amazing people I have ever had the fortune to work with, and we are working on a very difficult historical problem that has been lingering around for at least 24 years, and I have been chartered with updating the library - and let me tell you we have some very exciting stuff up our sleeves - so watch this blog.

With some hard work; cross site scripting will become a footnote in the history books, instead of a continuation of a theme.
